-- Source --
{
  "formula": "C5H10O2",
  "method": "ωB97M-V/def2-TZVPD",
  "elements": ["C", "C", "O", "C", "C", "C", "O", "H", "H", "H", "H", "H", "H", "H", "H", "H", "H"],
  "positions_angstrom": [[-2.02953, -0.50454, -0.45732], [-0.77230, 0.21806, -0.01244], [-0.78141, 1.51081, -0.13084], [0.03399, -0.37476, 1.16689], [1.51458, -0.20651, 0.76739], [1.48889, 0.27325, -0.70394], [1.42566, 1.55018, -0.91141], [-1.85593, -1.57465, -0.60400], [-2.79868, -0.39246, 0.31824], [-2.41549, -0.06400, -1.37951], [0.22065, -0.16764, -0.92317], [0.33154, 1.80731, -0.42274], [-0.23686, 0.14906, 2.09063], [-0.22492, -1.43231, 1.29687], [2.07110, -1.14479, 0.86991], [2.02884, 0.55576, 1.36102], [2.05021, -0.30534, -1.45460]],
  "atomic_forces_ev_per_a": [[0.050, -0.017, -0.090], [-0.030, -0.087, 0.196], [-0.057, -0.098, 0.066], [-0.035, 0.009, -0.002], [0.012, 0.013, 0.000], [-0.106, -0.138, 0.120], [-0.056, 0.008, 0.116], [0.018, 0.165, 0.029], [0.184, 0.036, -0.073], [0.087, -0.029, 0.124], [0.076, -0.039, -0.117], [0.103, -0.094, -0.141], [0.049, -0.052, -0.155], [0.047, 0.177, -0.058], [-0.096, 0.153, -0.048], [-0.075, -0.097, -0.107], [-0.171, 0.089, 0.139]],
  "lumo_ev": 0.66,
  "relative_energy_ev": 3.0644,
  "largest_force_ha_per_bohr": 0.0046,
  "orbital_gap_ev": 10.30,
  "total_energy_ha": -346.9128
}

=====

{
  "formula": "C5H10O2",
  "method": "ωB97M-V/def2-TZVPD",
  "elements": ["C", "C", "C", "O", "H", "H", "H", "H", "H", "H", "C", "C", "O", "H", "H", "H", "H"],
  "positions_angstrom": [[-1.38504, -1.00759, 0.88843], [-0.98952, 0.24925, 1.61186], [-0.76811, 1.44850, 1.06782], [-0.78628, 1.80161, -0.24115], [-0.55629, -1.72645, 0.81753], [-1.73399, -0.81139, -0.13013], [-2.19778, -1.51450, 1.42091], [-0.89287, 0.19103, 2.69322], [-0.53316, 2.30858, 1.69066], [-0.80503, 1.01377, -0.81782], [1.91160, -0.03178, -0.82549], [1.01485, -0.57543, -1.89731], [-0.15416, -0.27737, -2.03683], [2.91595, 0.15180, -1.22006], [2.00426, -0.78722, -0.03386], [1.48868, 0.87947, -0.39782], [1.46689, -1.31230, -2.58994]],
  "atomic_forces_ev_per_a": [[-0.040, -0.050, -0.080], [0.031, 0.126, -0.047], [0.036, -0.028, 0.289], [-0.090, -0.183, -0.058], [-0.114, 0.119, 0.018], [0.052, -0.030, 0.158], [0.125, 0.076, -0.068], [-0.026, 0.056, -0.147], [-0.043, -0.148, -0.036], [0.006, 0.102, 0.030], [-0.047, 0.087, 0.007], [-0.308, 0.050, -0.033], [0.541, -0.108, 0.042], [-0.145, -0.045, 0.022], [-0.018, 0.075, -0.122], [0.092, -0.146, -0.036], [-0.051, 0.047, 0.060]],
  "lumo_ev": 0.89,
  "relative_energy_ev": 1.8915,
  "smiles": "C/C=C\\O.CC=O",
  "largest_force_ha_per_bohr": 0.0108,
  "orbital_gap_ev": 9.34,
  "total_energy_ha": -346.9559
}

=====

{
  "formula": "C5H10O2",
  "method": "ωB97M-V/def2-TZVPD",
  "elements": ["C", "C", "C", "C", "O", "C", "O", "H", "H", "H", "H", "H", "H", "H", "H", "H", "H"],
  "positions_angstrom": [[-1.49810, -1.36170, 0.29235], [-0.61392, -0.17527, -0.03110], [0.81176, -0.47189, -0.50552], [1.92581, 0.29963, 0.21195], [1.72144, 1.69281, 0.25399], [-1.22027, 1.09522, -0.43861], [-0.78698, 0.90340, 0.90854], [-1.22989, -2.23525, -0.30802], [-1.38062, -1.62528, 1.34872], [-2.55455, -1.13584, 0.12064], [0.86079, -0.25215, -1.57923], [1.02040, -1.54302, -0.39247], [2.86385, 0.14154, -0.33132], [2.06194, -0.11329, 1.22329], [0.93395, 1.81057, 0.80920], [-2.29891, 1.16807, -0.57453], [-0.61669, 1.80244, -1.00786]],
  "atomic_forces_ev_per_a": [[-0.045, -0.027, -0.021], [0.017, -0.157, -0.136], [0.015, 0.004, -0.039], [0.131, -0.339, -0.019], [-0.127, 0.116, 0.130], [-0.156, 0.097, -0.227], [0.043, 0.022, 0.209], [-0.044, 0.131, 0.012], [0.066, -0.004, -0.138], [0.147, 0.009, 0.059], [-0.004, -0.045, 0.140], [-0.036, 0.150, 0.012], [-0.123, -0.042, 0.117], [-0.053, 0.117, -0.093], [0.124, 0.103, -0.154], [0.151, -0.023, 0.079], [-0.105, -0.112, 0.068]],
  "lumo_ev": 0.94,
  "relative_energy_ev": 2.2169,
  "smiles": "C[C@@]1(CCO)CO1",
  "largest_force_ha_per_bohr": 0.0071,
  "orbital_gap_ev": 10.99,
  "total_energy_ha": -346.9440
}

=====

-- Request --
Write out the lines above from the one with "0.66," to the one with "10.99," exactly, please.

-- Written answer --
  "lumo_ev": 0.66,
  "relative_energy_ev": 3.0644,
  "largest_force_ha_per_bohr": 0.0046,
  "orbital_gap_ev": 10.30,
  "total_energy_ha": -346.9128
}

=====

{
  "formula": "C5H10O2",
  "method": "ωB97M-V/def2-TZVPD",
  "elements": ["C", "C", "C", "O", "H", "H", "H", "H", "H", "H", "C", "C", "O", "H", "H", "H", "H"],
  "positions_angstrom": [[-1.38504, -1.00759, 0.88843], [-0.98952, 0.24925, 1.61186], [-0.76811, 1.44850, 1.06782], [-0.78628, 1.80161, -0.24115], [-0.55629, -1.72645, 0.81753], [-1.73399, -0.81139, -0.13013], [-2.19778, -1.51450, 1.42091], [-0.89287, 0.19103, 2.69322], [-0.53316, 2.30858, 1.69066], [-0.80503, 1.01377, -0.81782], [1.91160, -0.03178, -0.82549], [1.01485, -0.57543, -1.89731], [-0.15416, -0.27737, -2.03683], [2.91595, 0.15180, -1.22006], [2.00426, -0.78722, -0.03386], [1.48868, 0.87947, -0.39782], [1.46689, -1.31230, -2.58994]],
  "atomic_forces_ev_per_a": [[-0.040, -0.050, -0.080], [0.031, 0.126, -0.047], [0.036, -0.028, 0.289], [-0.090, -0.183, -0.058], [-0.114, 0.119, 0.018], [0.052, -0.030, 0.158], [0.125, 0.076, -0.068], [-0.026, 0.056, -0.147], [-0.043, -0.148, -0.036], [0.006, 0.102, 0.030], [-0.047, 0.087, 0.007], [-0.308, 0.050, -0.033], [0.541, -0.108, 0.042], [-0.145, -0.045, 0.022], [-0.018, 0.075, -0.122], [0.092, -0.146, -0.036], [-0.051, 0.047, 0.060]],
  "lumo_ev": 0.89,
  "relative_energy_ev": 1.8915,
  "smiles": "C/C=C\\O.CC=O",
  "largest_force_ha_per_bohr": 0.0108,
  "orbital_gap_ev": 9.34,
  "total_energy_ha": -346.9559
}

=====

{
  "formula": "C5H10O2",
  "method": "ωB97M-V/def2-TZVPD",
  "elements": ["C", "C", "C", "C", "O", "C", "O", "H", "H", "H", "H", "H", "H", "H", "H", "H", "H"],
  "positions_angstrom": [[-1.49810, -1.36170, 0.29235], [-0.61392, -0.17527, -0.03110], [0.81176, -0.47189, -0.50552], [1.92581, 0.29963, 0.21195], [1.72144, 1.69281, 0.25399], [-1.22027, 1.09522, -0.43861], [-0.78698, 0.90340, 0.90854], [-1.22989, -2.23525, -0.30802], [-1.38062, -1.62528, 1.34872], [-2.55455, -1.13584, 0.12064], [0.86079, -0.25215, -1.57923], [1.02040, -1.54302, -0.39247], [2.86385, 0.14154, -0.33132], [2.06194, -0.11329, 1.22329], [0.93395, 1.81057, 0.80920], [-2.29891, 1.16807, -0.57453], [-0.61669, 1.80244, -1.00786]],
  "atomic_forces_ev_per_a": [[-0.045, -0.027, -0.021], [0.017, -0.157, -0.136], [0.015, 0.004, -0.039], [0.131, -0.339, -0.019], [-0.127, 0.116, 0.130], [-0.156, 0.097, -0.227], [0.043, 0.022, 0.209], [-0.044, 0.131, 0.012], [0.066, -0.004, -0.138], [0.147, 0.009, 0.059], [-0.004, -0.045, 0.140], [-0.036, 0.150, 0.012], [-0.123, -0.042, 0.117], [-0.053, 0.117, -0.093], [0.124, 0.103, -0.154], [0.151, -0.023, 0.079], [-0.105, -0.112, 0.068]],
  "lumo_ev": 0.94,
  "relative_energy_ev": 2.2169,
  "smiles": "C[C@@]1(CCO)CO1",
  "largest_force_ha_per_bohr": 0.0071,
  "orbital_gap_ev": 10.99,